# Contents
~~~
Starting from a crystal structure in the Materials Project, relaxed with PBE, the powder diffraction line list of Ba3Al4Pt4 was simulated for Cu Kα (λ = 1.5418 Å).
Peak positions follow from Bragg's law for the DFT cell and can differ from measured ones.

Structural model:
```
data_Ba3Al4Pt4
_chemical_formula_sum 'Ba12 Al16 Pt16'
_cell_length_a 10.894
_cell_length_b 8.230
_cell_length_c 11.967
_cell_angle_alpha 90.00
_cell_angle_beta 90.00
_cell_angle_gamma 90.00
_space_group_name_H-M_alt 'C m c m'
_space_group_IT_number 63
_space_group_name_Hall '-C 2c 2'
loop_
_atom_site_label
_atom_site_type_symbol
_atom_site_fract_x
_atom_site_fract_y
_atom_site_fract_z
Ba1 Ba 0.000 0.023 0.250
Ba2 Ba 0.219 0.000 0.000
Al1 Al 0.000 0.397 0.125
Al2 Al 0.135 0.351 0.750
Pt1 Pt 0.000 0.300 0.574
Pt2 Pt 0.186 0.347 0.250
```

Principal peaks in the range 2θ = 5–70°, by intensity:
| 2θ (°) | Rel. int. |
| --- | --- |
| 31.07 | 100 |
| 30.78 | 82 |
| 26.14 | 73 |
| 33.69 | 44 |
| 27.87 | 44 |
| 28.18 | 36 |
| 46.75 | 34 |
| 48.90 | 30 |
| 29.87 | 30 |
| 32.89 | 29 |


For BeCl2, a crystal structure in Alexandria, relaxed with GGA-PBE gives the theoretical powder diffraction line list in this record (a wavelength of 1.5418 Å).

Atomic structure:
Unit cell a=8.569 b=8.569 c=8.569 alpha=109.47 beta=109.47 gamma=109.47
Atoms (fractional coordinates):
Be: 0.250 0.500 0.750
Be: 0.250 0.750 0.500
Be: 0.500 0.250 0.750
Be: 0.500 0.750 0.250
Be: 0.750 0.250 0.500
Be: 0.750 0.500 0.250
Cl: 0.000 0.259 0.530
Cl: 0.000 0.530 0.259
Cl: 0.259 0.000 0.530
Cl: 0.259 0.530 0.000
Cl: 0.270 0.741 0.741
Cl: 0.470 0.470 0.730
Cl: 0.470 0.730 0.470
Cl: 0.530 0.000 0.259
Cl: 0.530 0.259 0.000
Cl: 0.730 0.470 0.470
Cl: 0.741 0.270 0.741
Cl: 0.741 0.741 0.270

Top 10 peaks for 2θ = 10–90°, sorted by position:
two_theta  Rel. int.
12.65  954
22.01  244
31.32  1000
33.90  230
36.32  376
38.61  102
42.87  83
46.82  129
52.30  290
62.24  247
~~~
# Exercise
Your job: write out the whole of the calculation results above without additions.
# Done
Starting from a crystal structure in the Materials Project, relaxed with PBE, the powder diffraction line list of Ba3Al4Pt4 was simulated for Cu Kα (λ = 1.5418 Å).
Peak positions follow from Bragg's law for the DFT cell and can differ from measured ones.

Structural model:
```
data_Ba3Al4Pt4
_chemical_formula_sum 'Ba12 Al16 Pt16'
_cell_length_a 10.894
_cell_length_b 8.230
_cell_length_c 11.967
_cell_angle_alpha 90.00
_cell_angle_beta 90.00
_cell_angle_gamma 90.00
_space_group_name_H-M_alt 'C m c m'
_space_group_IT_number 63
_space_group_name_Hall '-C 2c 2'
loop_
_atom_site_label
_atom_site_type_symbol
_atom_site_fract_x
_atom_site_fract_y
_atom_site_fract_z
Ba1 Ba 0.000 0.023 0.250
Ba2 Ba 0.219 0.000 0.000
Al1 Al 0.000 0.397 0.125
Al2 Al 0.135 0.351 0.750
Pt1 Pt 0.000 0.300 0.574
Pt2 Pt 0.186 0.347 0.250
```

Principal peaks in the range 2θ = 5–70°, by intensity:
| 2θ (°) | Rel. int. |
| --- | --- |
| 31.07 | 100 |
| 30.78 | 82 |
| 26.14 | 73 |
| 33.69 | 44 |
| 27.87 | 44 |
| 28.18 | 36 |
| 46.75 | 34 |
| 48.90 | 30 |
| 29.87 | 30 |
| 32.89 | 29 |


For BeCl2, a crystal structure in Alexandria, relaxed with GGA-PBE gives the theoretical powder diffraction line list in this record (a wavelength of 1.5418 Å).

Atomic structure:
Unit cell a=8.569 b=8.569 c=8.569 alpha=109.47 beta=109.47 gamma=109.47
Atoms (fractional coordinates):
Be: 0.250 0.500 0.750
Be: 0.250 0.750 0.500
Be: 0.500 0.250 0.750
Be: 0.500 0.750 0.250
Be: 0.750 0.250 0.500
Be: 0.750 0.500 0.250
Cl: 0.000 0.259 0.530
Cl: 0.000 0.530 0.259
Cl: 0.259 0.000 0.530
Cl: 0.259 0.530 0.000
Cl: 0.270 0.741 0.741
Cl: 0.470 0.470 0.730
Cl: 0.470 0.730 0.470
Cl: 0.530 0.000 0.259
Cl: 0.530 0.259 0.000
Cl: 0.730 0.470 0.470
Cl: 0.741 0.270 0.741
Cl: 0.741 0.741 0.270

Top 10 peaks for 2θ = 10–90°, sorted by position:
two_theta  Rel. int.
12.65  954
22.01  244
31.32  1000
33.90  230
36.32  376
38.61  102
42.87  83
46.82  129
52.30  290
62.24  247